Everything You Need to Know About Elon’s Sustainability Week

For the past three years, every October, Elon’s Office of Sustainability holds a Campus Sustainability Week. This year it’s being held from October 19th through the 23rd. You can find all sorts of events ranging from tree walks to bike rides! 

The Edge wanted to learn more about Elon’s Sustainability Week, so we spoke to Kelly Harer, the Assistant Director of Sustainability for Education Outreach. Kelly partners with the rest of the Sustainability Office, campus eco-reps, interns, and student volunteers to put on this week-long, campus-wide event.

Graphic from freepik.com.

Graphic from freepik.com.

Throughout the week, there will be multiple events happening each day. All of the events are centered around the environment and taking care of yourself. Some of the events offered include a tree walk, a lesson on making plantable paper, and a bike ride to Burlington. You can find a full list of activities here from the Sustainability Office’s website. 

**The entry is interrupted by data records**
No. 1

Sustainability week is a little different this year due to COVID-19, but the office is committed to hosting a safe but engaging week. There are virtual and in-person options available. Some of the in-person options require you to register beforehand to help maintain social distancing. 

“The in-person events we do have are outdoors, and they’re small so people can stay safe. And we’re doing a variety of virtual activities,” says Kelly. 

Sustainability is a broad term. Kelly says that sustainability encompasses everything from your mental health to environmental health. These events focus on sustainability as a whole rather than on just the environment. 

“In our office, we try to help people understand the breadth of sustainability through the three P’s: People, Planet, Prosperity,” says Kelly. “Sustainability is about the environment but also mental health, wellness, education, and gender equality.”

As students are continually adjusting to changes on campus due to COVID-19, the Office of Sustainability uses Sustainability Week to remind students to take care of the Earth and take care of themselves. 

“I really tried to focus events around mental health and wellbeing because that is important right now,” says Kelly. 

With everything going on this year, mental health is a large focus of this year’s Sustainability Week, but education about the environment is still the week’s core focus. The Sustainability Office also educates students and staff about how they can help make Elon more sustainable so Elon can achieve its goal of being a carbon-neutral campus by 2037.

One of the most significant ways students can work to create a more sustainable environment is to reduce waste, whether that is by composting food waste, remembering to bring your reusable shopping bags, or buying food from local farmers. 

+++
2 unconnected molecules or ions with the total composition C20H23N3O6 in a non-equilibrium geometry, computed with ωB97M-V/def2-TZVPD.

Geometry as XYZ:
```
52
Properties=species:S:1:pos:R:3:forces:R:3
C 2.744664 2.910446 -3.311644 -0.1 0.1 0.5
N 2.695930 2.254805 -2.005949 0.2 -0.7 -0.3
C 2.428589 2.872999 -0.847275 -0.1 1.1 0.4
O 2.225336 4.081053 -0.790090 0.0 -0.1 0.2
C 2.386990 2.011048 0.429485 0.2 -0.3 0.1
C 1.024722 1.322097 0.624230 -0.3 -0.3 -0.3
C 0.470707 0.667287 -0.603389 0.6 -0.6 -0.3
C -0.724606 0.940522 -1.172312 0.4 -0.3 -0.1
N -0.874225 0.187421 -2.319643 -0.9 0.2 -0.8
C 0.238397 -0.585677 -2.567876 0.3 0.3 1.1
C 0.587677 -1.458446 -3.607769 0.4 -0.1 0.3
C 1.830322 -2.112765 -3.560679 -0.7 0.7 0.5
C 2.698948 -1.895214 -2.475995 -0.6 0.6 0.5
C 2.335600 -1.020913 -1.433821 -0.2 -0.2 -0.5
C 1.098471 -0.338520 -1.457285 0.6 -0.3 -0.4
N 2.711693 2.793019 1.626973 -0.6 0.7 -1.6
C 3.327910 2.310862 2.703387 0.8 -1.0 1.0
C 3.568004 3.284520 3.833575 -0.1 0.0 -0.1
O 3.695734 1.147537 2.802800 -0.1 -0.1 -0.3
H 2.005052 3.712981 -3.355811 0.1 -0.1 0.1
H 2.526663 2.186297 -4.098245 0.0 0.0 0.2
H 3.736054 3.335387 -3.475446 -0.1 0.1 -0.1
H 2.794728 1.249760 -1.985675 0.0 0.1 -0.1
H 3.142201 1.234395 0.312466 0.1 0.0 0.2
H 1.119351 0.566276 1.405717 0.2 0.2 0.2
H 0.304574 2.067042 0.967256 0.0 0.0 0.0
H -1.448163 1.647304 -0.784772 -0.2 -0.2 -0.4
H -1.718850 0.181902 -2.871547 0.2 -0.1 0.1
H -0.092805 -1.627212 -4.428080 -0.1 0.0 -0.1
H 2.114996 -2.791179 -4.353278 0.0 0.0 0.0
H 3.649286 -2.410818 -2.439804 0.0 0.0 0.0
H 3.006080 -0.875410 -0.599445 0.2 0.0 0.1
H 2.473794 3.773388 1.602921 0.0 0.0 -0.2
H 2.611124 3.658588 4.192091 0.0 0.2 0.1
H 4.085400 2.768988 4.641629 -0.1 0.0 -0.1
H 4.178969 4.110991 3.475242 0.0 0.2 0.1
O -1.455877 -4.547029 0.943291 0.0 1.4 -0.9
C -1.547307 -3.509887 0.294177 1.5 -2.4 0.7
O -0.564428 -3.099508 -0.556775 -1.5 0.2 0.8
C -2.783557 -2.667424 0.447575 -1.9 2.9 -0.9
O -2.935405 -1.632125 -0.207293 0.9 -1.1 0.2
C -3.858262 -3.041884 1.389368 -0.6 0.0 0.5
C -4.956086 -2.246785 1.641882 1.2 -1.2 0.1
C -5.953461 -2.624707 2.635958 -1.0 1.3 0.1
C -6.964140 -1.772992 2.998490 1.2 -1.5 -0.1
O -7.852164 -2.158046 3.967324 0.1 0.8 -0.5
H 0.151891 -3.748532 -0.492610 -0.1 -0.1 0.1
H -3.749436 -3.975778 1.930561 0.0 0.1 0.0
H -5.064517 -1.298580 1.119715 0.1 -0.1 0.0
H -5.887686 -3.588655 3.132025 0.1 0.1 -0.1
H -7.044856 -0.795752 2.526622 -0.3 -0.1 0.2
H -8.494021 -1.453080 4.157746 0.4 -0.3 -0.2
```
Positions in Å, forces in eV/Å.

Computed properties:
Energy above the lowest of the compared OMol25 structures with the same formula, charge and spin   68.47 kcal per mole
E_HOMO   -8.0 eV
Net charge   0
E_LUMO   -0.8 eV

A molecular structure, C7H18N2O in a non-equilibrium geometry, computed with ωB97M-V/def2-TZVPD.

Geometry as XYZ:
```
28
Properties=species:S:1:pos:R:3:forces:R:3
C -1.366752 0.973027 0.175994 0.0 2.1 -0.6
C -0.271555 -1.574175 -0.638283 1.6 0.3 0.6
C -2.728584 0.427631 -0.112019 0.3 -0.5 -0.3
+++

Kelly recommends reducing your meat consumption. She emphasized that you don’t need to completely adopt a new way of eating because small changes still make a massive difference.

“You don’t have to go vegan or vegetarian to make an impact. You could try ‘meatless Mondays,’ or maybe you could try going one meal a day without meat,” says Kelly.

She also recommends trying to reduce your use of single-use plastics when you can. Kelly says that COVID-19 has led many people to use more plastics for sanitary purposes, and that is okay. She recommends using reusable shopping bags and reusable water bottles when you can do so safely. 

In this time of chaos, it is essential to remember to give yourself grace when it comes to sustainability. Do what you can when you can to help make Elon more sustainable, whether that’s remembering to turn off lights in the common rooms, unplugging your electronics when you go home for winter break, or having a meal without meat. 

The Sustainability Office is always available if you have any questions about how you can be involved, participate in Sustainability Week, or for more information on how you can help the environment!

Celebrate Sustainability Week starting tomorrow at Elon! Photo by Madison Gilgo.

Celebrate Sustainability Week starting tomorrow at Elon! Photo by Madison Gilgo.